Brief:
Find the line further below that holds "2.49", then transcribe that line and all lines after it there.
Source:
┌──
Li2TeWO | PBE with a Hubbard U | optimized geometry

Results
Space group: P4/mmm (123)
VASP energy (eV/cell): -20.65
Size of the total moment (μB/f.u.): 2.49

Cell lengths 5.592, 3.786, 5.592 Å; angles 90.00, 90.00, 90.00 degrees
Sites, in units of the cell vectors:
Li (0.000, 0.000, 0.500)
Li (0.500, 0.000, 0.000)
Te (0.500, 0.500, 0.500)
W (0.000, 0.000, 0.000)
O (0.000, 0.500, 0.000)

* * * * *

one.
Tb5Pm5Dy2: relaxed, GGA-PBE.

Summary:
Total magnetic moment, μB per cell: 0.00
Space group: C2/m
Calculated density, g/cm³: 7.8

Cell lengths 5.077, 8.037, 10.791 Å; angles 72.71, 76.40, 71.59 degrees
Positions (direct):
Tb  0.251  0.750  0.748
Tb  0.000  0.000  0.000
Dy  0.083  0.582  0.251
Pm  0.500  0.500  0.500
Pm  0.666  0.667  0.000
Tb  0.833  0.834  0.501
Pm  0.334  0.333  0.000
Pm  0.584  0.083  0.750
Dy  0.917  0.418  0.749
Tb  0.167  0.166  0.499
Pm  0.416  0.917  0.250
Tb  0.749  0.250  0.252



two.
Tb5Pm5Dy2: relaxed, GGA-PBE.

Summary:
Total magnetic moment, μB per cell: 0.00
Space group: C2/m
Calculated density, g/cm³: 7.7

Cell lengths 5.675, 6.581, 12.389 Å; angles 106.68, 90.00, 115.54 degrees
Positions (direct):
Pm  0.695  0.389  0.032
Pm  0.576  0.152  0.246
Tb  0.185  0.369  0.469
Pm  0.500  0.000  0.500
Tb  0.000  0.000  0.000
Tb  0.259  0.518  0.225
Dy  0.085  0.169  0.707
Pm  0.305  0.611  0.968
Pm  0.424  0.848  0.754
Dy  0.915  0.831  0.293
Tb  0.741  0.482  0.775
Tb  0.815  0.631  0.531



Energy ordering: one at the bottom, the next structure 80 meV per atom above.

* * * * *

Run i
Te3RhS PBE-GGA relaxed; space group = No. 221; DOS(E_F) = 7.84 states/eV per cell
1.0
5.180 0.000 0.000
0.000 5.180 0.000
0.000 0.000 5.180
Te Rh S
3 1 1
Cartesian
0.000 0.000 2.590
0.000 2.590 0.000
2.590 0.000 0.000
0.000 0.000 0.000
2.590 2.590 2.590

***

Run ii
Te3RhS PBE-GGA relaxed; space group = No. 221; DOS(E_F) = 4.95 states/eV per cell
1.0
5.151 0.000 0.000
0.000 5.151 0.000
0.000 0.000 5.151
Te Rh S
3 1 1
Cartesian
0.000 0.000 2.576
0.000 2.576 0.000
2.576 0.000 0.000
2.576 2.576 2.576
0.000 0.000 0.000

***

Which one is the most stable? From the structures above, run i.

* * * * *

P) Computed, not measured: crystalline PaAl2Au2 at its relaxed geometry at the PBE-GGA level of DFT.

Cell: 4.2065 4.2065 11.2683 Å, 90.00 90.00 90.00°
Closest atoms and distances in Å follow each position.
Positions (direct):
Pa  0.0000  0.0000  0.0000  8 Au 3.26, 8 Al 3.52
Pa  0.5000  0.5000  0.5000  8 Au 3.26, 8 Al 3.52
Al  0.0000  0.5000  0.2500  4 Au 2.57
Al  0.0000  0.5000  0.7500  4 Au 2.57
Al  0.5000  0.0000  0.2500  4 Au 2.57
Al  0.5000  0.0000  0.7500  4 Au 2.57
Au  0.0000  0.0000  0.3810  4 Al 2.57, 1 Au 2.68
Au  0.0000  0.0000  0.6190  4 Al 2.57, 1 Au 2.68
Au  0.5000  0.5000  0.1190  4 Al 2.57, 1 Au 2.68
Au  0.5000  0.5000  0.8810  4 Al 2.57, 1 Au 2.68

Output
**V**: 19.94 Å³/atom

=====

Q) Computed, not measured: crystalline PaAl2Au2 at its relaxed geometry at the PBE-GGA level of DFT.

Cell: 4.3532 4.3532 10.3719 Å, 90.00 90.00 90.00°
Closest atoms and distances in Å follow each position.
Positions (direct):
Pa  0.2500  0.2500  0.2475  8 Al 3.30-3.41, 8 Au 3.32-3.37
Pa  0.7500  0.7500  0.7525  8 Al 3.30-3.41, 8 Au 3.32-3.37
Al  0.2500  0.2500  0.8681  5 Au 2.45-2.57
Al  0.2500  0.7500  0.5000  4 Au 2.57
Al  0.7500  0.2500  0.5000  4 Au 2.57
Al  0.7500  0.7500  0.1319  5 Au 2.45-2.57
Au  0.2500  0.2500  0.6320  5 Al 2.45-2.57
Au  0.2500  0.7500  0.0000  4 Al 2.57
Au  0.7500  0.2500  0.0000  4 Al 2.57
Au  0.7500  0.7500  0.3680  5 Al 2.45-2.57

Output
**V**: 19.66 Å³/atom

=====

Which of them is the most stable? Correct choice: Q).

* * * * *

DFT (GGA-PBE) results for a relaxed structure of Cs2NpSnTe4.

Cell: 8.1547 4.6563 9.1452 Å, 90.00 106.58 90.00°
Closest atoms and distances in Å follow each position.
Sites, in units of the cell vectors:
Cs  0.0000  0.0000  0.0000  6 Te 3.79-3.82
Cs  0.5000  0.5000  0.0000  6 Te 3.90-3.93
Np  0.0000  0.5000  0.5000  6 Te 3.05-3.12
Sn  0.5000  0.0000  0.5000  6 Te 3.22
└──
Result:
Size of the total moment (μB/f.u.): 2.49

Cell lengths 5.592, 3.786, 5.592 Å; angles 90.00, 90.00, 90.00 degrees
Sites, in units of the cell vectors:
Li (0.000, 0.000, 0.500)
Li (0.500, 0.000, 0.000)
Te (0.500, 0.500, 0.500)
W (0.000, 0.000, 0.000)
O (0.000, 0.500, 0.000)

* * * * *

one.
Tb5Pm5Dy2: relaxed, GGA-PBE.

Summary:
Total magnetic moment, μB per cell: 0.00
Space group: C2/m
Calculated density, g/cm³: 7.8

Cell lengths 5.077, 8.037, 10.791 Å; angles 72.71, 76.40, 71.59 degrees
Positions (direct):
Tb  0.251  0.750  0.748
Tb  0.000  0.000  0.000
Dy  0.083  0.582  0.251
Pm  0.500  0.500  0.500
Pm  0.666  0.667  0.000
Tb  0.833  0.834  0.501
Pm  0.334  0.333  0.000
Pm  0.584  0.083  0.750
Dy  0.917  0.418  0.749
Tb  0.167  0.166  0.499
Pm  0.416  0.917  0.250
Tb  0.749  0.250  0.252



two.
Tb5Pm5Dy2: relaxed, GGA-PBE.

Summary:
Total magnetic moment, μB per cell: 0.00
Space group: C2/m
Calculated density, g/cm³: 7.7

Cell lengths 5.675, 6.581, 12.389 Å; angles 106.68, 90.00, 115.54 degrees
Positions (direct):
Pm  0.695  0.389  0.032
Pm  0.576  0.152  0.246
Tb  0.185  0.369  0.469
Pm  0.500  0.000  0.500
Tb  0.000  0.000  0.000
Tb  0.259  0.518  0.225
Dy  0.085  0.169  0.707
Pm  0.305  0.611  0.968
Pm  0.424  0.848  0.754
Dy  0.915  0.831  0.293
Tb  0.741  0.482  0.775
Tb  0.815  0.631  0.531



Energy ordering: one at the bottom, the next structure 80 meV per atom above.

* * * * *

Run i
Te3RhS PBE-GGA relaxed; space group = No. 221; DOS(E_F) = 7.84 states/eV per cell
1.0
5.180 0.000 0.000
0.000 5.180 0.000
0.000 0.000 5.180
Te Rh S
3 1 1
Cartesian
0.000 0.000 2.590
0.000 2.590 0.000
2.590 0.000 0.000
0.000 0.000 0.000
2.590 2.590 2.590

***

Run ii
Te3RhS PBE-GGA relaxed; space group = No. 221; DOS(E_F) = 4.95 states/eV per cell
1.0
5.151 0.000 0.000
0.000 5.151 0.000
0.000 0.000 5.151
Te Rh S
3 1 1
Cartesian
0.000 0.000 2.576
0.000 2.576 0.000
2.576 0.000 0.000
2.576 2.576 2.576
0.000 0.000 0.000

***

Which one is the most stable? From the structures above, run i.

* * * * *

P) Computed, not measured: crystalline PaAl2Au2 at its relaxed geometry at the PBE-GGA level of DFT.

Cell: 4.2065 4.2065 11.2683 Å, 90.00 90.00 90.00°
Closest atoms and distances in Å follow each position.
Positions (direct):
Pa  0.0000  0.0000  0.0000  8 Au 3.26, 8 Al 3.52
Pa  0.5000  0.5000  0.5000  8 Au 3.26, 8 Al 3.52
Al  0.0000  0.5000  0.2500  4 Au 2.57
Al  0.0000  0.5000  0.7500  4 Au 2.57
Al  0.5000  0.0000  0.2500  4 Au 2.57
Al  0.5000  0.0000  0.7500  4 Au 2.57
Au  0.0000  0.0000  0.3810  4 Al 2.57, 1 Au 2.68
Au  0.0000  0.0000  0.6190  4 Al 2.57, 1 Au 2.68
Au  0.5000  0.5000  0.1190  4 Al 2.57, 1 Au 2.68
Au  0.5000  0.5000  0.8810  4 Al 2.57, 1 Au 2.68

Output
**V**: 19.94 Å³/atom

=====

Q) Computed, not measured: crystalline PaAl2Au2 at its relaxed geometry at the PBE-GGA level of DFT.

Cell: 4.3532 4.3532 10.3719 Å, 90.00 90.00 90.00°
Closest atoms and distances in Å follow each position.
Positions (direct):
Pa  0.2500  0.2500  0.2475  8 Al 3.30-3.41, 8 Au 3.32-3.37
Pa  0.7500  0.7500  0.7525  8 Al 3.30-3.41, 8 Au 3.32-3.37
Al  0.2500  0.2500  0.8681  5 Au 2.45-2.57
Al  0.2500  0.7500  0.5000  4 Au 2.57
Al  0.7500  0.2500  0.5000  4 Au 2.57
Al  0.7500  0.7500  0.1319  5 Au 2.45-2.57
Au  0.2500  0.2500  0.6320  5 Al 2.45-2.57
Au  0.2500  0.7500  0.0000  4 Al 2.57
Au  0.7500  0.2500  0.0000  4 Al 2.57
Au  0.7500  0.7500  0.3680  5 Al 2.45-2.57

Output
**V**: 19.66 Å³/atom

=====

Which of them is the most stable? Correct choice: Q).

* * * * *

DFT (GGA-PBE) results for a relaxed structure of Cs2NpSnTe4.

Cell: 8.1547 4.6563 9.1452 Å, 90.00 106.58 90.00°
Closest atoms and distances in Å follow each position.
Sites, in units of the cell vectors:
Cs  0.0000  0.0000  0.0000  6 Te 3.79-3.82
Cs  0.5000  0.5000  0.0000  6 Te 3.90-3.93
Np  0.0000  0.5000  0.5000  6 Te 3.05-3.12
Sn  0.5000  0.0000  0.5000  6 Te 3.22